/r/PoliticalHumor can't decide whether or not they like Churchill, but they know he's better than Trump. Also, so was Hitler

115  2017-12-27 by lmao_how_old_are_you


Do we have dramanouts from India? I would lije to hear their opinion about dear old Winston.

Because, you know: Bengal famine, using chemical weapons on tribes, a contraversional opinion on Jews, white supremacy, eugenics - that's all on dear Winston...that and also Katyn cover-up.

Still better than Trump!

Which, I mean, he was, but there's some interesting mental gymnastics at play for those vote totals to shake out. They gotta make sure to criticize Trump but then downvote anyone saying Churchill sucks while also upvoting people saying Churchill sucks.

Does the sub do anything other than just be anti-Trump?

Does the sub do anything other than just be anti-Trump?

No, which I exploited for karma

Eh, that's fair

No, it's also anti-humor.

Well, a brick would be a better president than Trump, my point still stands - no major political leader was ever without sin.

Yes. They also delete conservative posts for no reason other than conveying the wrong message

no one knew or had even heard of that sub before trump. they owe their existence to him

Churchill was actually way, way, way worse than Trump. Hell, he was a paranoid fool about fifty different things, that weren't Nazis. He just happened to get the Nazi thing right. Shit, his own country threw him out of office pretty quick after Hitler, because that was pretty much the only thing he was ever right about.

Churchill is pretty universally hated here. First, if you are Bengali like me, you would be rooting for the Axis since we had our own version of Mannerheim, Bose. Then, there's the entire part about refusing food aid from Canada, Australia and Japanese Burma that points to actual malice instead of simple mismanagement.

Overall though I'd say those years weren't that bad. We had our own government, however weak. If the bloody Muzzies hadn't started Muzzing, 20th century would probably be the best century in India since the 11th.

Didnt churchill want to use weapons on tribes that specifically would be the least damaging?

I love how the guardian puts this quote by wilson in its article

*I am strongly in favour of using poisoned gas against uncivilised tribes. *

But shockingly omits the rest of his quote:

The moral effect should be so good that the loss of life should be reduced to a minimum. It is not necessary to use only the most deadly gasses: gasses can be used which cause great inconvenience and would spread a lively terror and yet would leave no serious permanent effects on most of those affected.

am Indian, can confirm that my family is left leaning and dislikes Trump, but hates Churchill like 1000 times more. seriously i don't know when Churchill became a hero to the left bc he's a complete shithead

He's never been, which is the main source of drama in that thread. Someone pointed out that usually these exact same people that are getting outrage that Trump could be compared to Churchill also fucking hate Churchill, so most of the thread is pretty disingenuous.

A: "Hahaha Trump isn't half the warrior or patriot that Churchill was, what a dipshit!"

B: "Yeah but don't you guys also hate Churchill as a war criminal and shit. Why are you upvoting this anyway?"

Followed by a flurry of downvotes.

Virtue signalling is cominv to a head

Winston is pretty hated over here. But then again, he has been dead for a while. So nobody minds him.

The whole Churchill vs Trump comparison begins and ends at " Churchill fought FOR his country".


To be clear, Trump stands with Nazis.


No no no, Churchill stood unequivocally against the Nazis.

Trump is no Churchill.

DAE Trump is hitler? No, that's offensive.

When the time to serve his country came Hitler didn't pretend to have bone spurs and spent the war banging hookers. Hitler was an accomplished speaker, experienced politician, and he came from a blue collar background. Trump is no Hitler.

These people seriously need to step outside and get some sunshine before the Rage stroke causes them to bleed to death in' dem cancer filled brains.

Churchill also was a white supremacist. It's why it's important for people to know why nazism doesn't equal white supremacism.

BUt this is Political "humor" we're talking about.


Don't use DAE ever again, capiche

Everything but capiche

To the front page! Gold for you, le kind gentlesir! Doin gods work son!

You could make a dank meme out of this.

Anybody: "drumpf"

/r/politicalhumor: https://pbs.twimg.com/media/Cv9-ojhWAAAsa3c.jpg

Churchill appreciated Hitler as a man and had pretty clear fascist sympathies. These morons would call Shias Islamophobes because they stood against Sunnis.

Trump has completely broken people's brains lmao.

Trump has completely broken people's brains lmao.

I think Trump just showed the defect that was already there.

Idk, I'm pretty sure that the industrial murder of homosexuals, socialists, Slavs, Jews, and Roma is roughly equivalent to insensitive remarks.

Stop dog whistling Himmler.

Fuck you, nazi!

Literally exactly the same as tax cuts, for sure

I remember the election when everyone was like "it'll all be forgotten by Christmas". Nah. We fully descended to some entirety new worldwide level of actual downs syndrome all because the burgers got a meme leader.

Ehhh, it would seem that many of these people were barely functioning to begin with

These people seriously need to step outside and get some sunshine before the Rage stroke causes them to bleed to death in' dem cancer filled brains.

Can't go wrong with a bit of postmodern natural selection.

"I hate Trump because he is a literal Nazi but at least the Nazis weren't so bad" HAHAHA leftoids be trippin

So Churchill was better than Trump. Okay.

But Churchill wasn't so great. Okay.

But saying "Some people will say Churchill wasn't so great" is something people are arguing against? I'm not even sure how that makes sense, like logically and consistently.

And finally, Hitler was better than Trump? I honestly didn't know that sub was reaching TrollX/Ghazi/LSC levels of insanity but I guess anything is possible in Trump's America after all.

I don't even know who to ping to hear a weird, rambling non-answer.

Whoever breaks the circlejerk gets punished and downvoted. You can explain why that comment is actually reasonable and be upvoted, but you can't be the one that breaks it.

You could make a flowchart about it. Could criticizing (or saying other people will criticize) Churchill be construed as defending Trump? If yes, downvote. If no, the thread doesn't have anything to do with Trump, upvote.

/r/politicalhumor flowchart:

1) Is it funny?

  • If yes - downvote

  • If no go to step two.

2) Does it attack Trump

  • If yes - upvote

  • If no - downvote

3) Is it completely retarded

  • If yes - upvote

  • If no - can't happen because everything posted to /r/politicalhumor is literally retarded.

A simpler explanation other than hordes of zealous liberal serious-posters is that the company called Shareblue emoloys people to manipulate narratives on social media websites.

Try /u/42words. It's their favorite sub ever

Huh, weird. I was just talking about you, too. ❤️

Can you explain how "Hitler was better than Trump" was upvoted but "People on the left hate Churchill, so it's weird you guys are praising him" was downvoted?

Or is this really just about using any means to attack Trump? Cause that's...weird.

What in God's name makes you think I know anything about politics or history or whatever r/theoryofreddit shit about voting behaviors it sounds like you're asking me about right now? Have you SEEN my post history? I'm amazed people let me drive.

A simple no would suffice.

Then username summon /u/ASimpleNo next time.

reddits been a trash heap since trump got elected. i left the site two years before trumps election, and the salt was from here was wafting across the internet so hard i came back around nov/dec 2016

so i saw the place well before trump, took a big ol break and came back right after trump, and the difference is yuuuuge

the left has been soiling their panties harder over trump than anything ive seen in my lifetime. its glorious

Not just the left. Mostly it's the pro-free-trade elite and the media organs they control, using the left as cover (hoping that conservatives will blame them, instead of Republican party leaders. Judging by conservative media, it's not working very well. Turns out you're not limited to hating one person at a time). That's why you've got weasel-men like Joe Scarborough (R-Dead Intern) shilling against Trump.

Morning Joe has been regarded as a RINO since at least 2004. John McCain had a similar reputation when he ran against Barry.

Red tribalism tends to be fairly weak at the level of actual power. Not nearly as cohesive as with the blues.

At least Hitler built roads. What does Trump build?

That sub is cancer so bad it has become Nega Cancer that still gives you cancer. i stated there that

"i dont blame anybody that flees a draft, nobody should be forced to go to war"

it got downvoted

Yeah. The term "draft dodger" is like calling a slave who used the underground railroad a pussy.

Forcing someone to fight in a war against their will is slavery.

Wew fucking lad

Is it bad form to link a comment in /r/drama to a comment in /r/drama because ho-lee-shit son...

Especially for fucking Vietnam.

They aren't wrong, though. It is literally slavery. And if women can't be forced to even bring a baby they fucked into existence to term, then why the fuck should men be forced to kill and die?

So the men drafted to protect this country during WW2 were slaves? Look I might not agree with every institution of the draft in history but I'm certainly not going to compare it to slavery because the two things are completely different.

And if women can't be forced to even bring a baby they fucked into existence to term

Sounds like you are pretty angry at women. I'm going to take a wild stab in the dark here and say your comment history is cancer. I won't even bother checking because I've developed a sixth sense for this type of cancer and can literally smell it on you through the computer monitor.

So the men drafted to protect this country during WW2 were slaves?

Yes, for the most part. Even if the draft was for the greater good.

til being conscripted to defend your country and possibly life = working against your will for someone's profit and personal gain

Slave dodger

and to add insult to injury, they were only having to enslave men to fight the war because it was such a fucking bungled mess of a conflict to begin with

WWII used a draft. Like every war for most of history used a draft in the USA. Many countries still use it today.

i know its been common for millennia. i also know the englishmen who founded our country specifically avoided it on matters of principle

What are you on about? The country had a draft for like two centuries. Blaming anything on England two centuries after the fact is a bit absurd. It also isn't slavery. Using that logic could lead to taxation is slavery next.

forcing innocent people to serve you is the definition of slavery. you might argue that the ends justify the means, but there is no mistaking what those means are

Serve "you" and who is you? The country is fighting collectively. People are forced into working and giving up their wages. That is slavery too according to your logic.

War is a part of a country. Just the way it works. The bodies get sourced collectively from citizens.

Slaves aren't done for short term either. This conversation is ridiculous.

thats the same arguments levied in defense of forcing negroes into the fields. the economy is a tightly interconnected, collective effort. their labor is needed to feed the nation, and to fuel its industries with raw materials

with this forced labor the country can be fed, clothes can be put on our backs, and taxes can be levied on the imports/exports to provide for common services- transportation, national defense, etc

and since all this effort goes toward the collective benefit of the nation, its not really slavery at all. its happy-funtime-compulsory-labor

Stop being retarded. No country needs cotton to survive. It also doesn't benefit the country as a whole and the profits go to only private citizens.

cotton was a lot more important to the health of this nation than a war fought in swampy jungles thousands of miles away was, so whats your point?


cotton was a gain for the nation, vietnam was loss

Draft was not exclusive to Vietnam. Cotton still can be farmed without slavery.

irrelevant. if value to the country determines if something is slavery or not, then negroes in the fields werent slaves and vietnam infantry boys were

Every country used to use slaves, too, though. Many still do today.

If the government can't make abortion illegal because of a woman's sacred bodily autonomy, I don't get how the fuck it's acceptable to force men into war.

lol they got so mad at /u/CirqueDuFuder holy shit

You got to at least link it.

I upvoted you because you seem nice.

I just found all of this very pleasant and warm

I got a PM.

For the sake of unending back and forths in the comments I'm just going to pm. You actually didn't make any point, you started by trying to defend the indefensible, then flopped over to whining about not getting any funnies from the comments. Looking at your post history it seems like you're no stranger to people just telling you to shut the fuck up. But, I'm sure you justify all the hate you get as "my political and social opinions are just ahead of the buck" when in reality you don't even know what you stand for yourself. How many people have to take time out of their day to tell you that you need to rethink a lot of your ideological ideals for you to start thinking that maybe the problem is with you. I've officially wasted more time on you than I would have liked to, so I won't be participating in this conversation anymore.

How many people have to take time out of their day to tell you that you need to rethink a lot of your ideological ideals for you to start thinking that maybe the problem is with you.

hahahaha this is amazing

I only really went there and was asking where the jokes are at and why everyone is so angry all the time.

I think the responses to that comment are about as "same" as any comparison can be without using the literal same exact words. In both instances, they're so excited to yell about Trump that they ignore what they actually believe in order to "GET 'EM".

i dont blame any person for that. forcing somebody is fight in a war is a crime against humanity imo.

Is about as reddit idealist/"fuck you dad, you can't tell me what to do" (no offense) as you can get. But if it doesn't attack Trump? That's a downvotin'.

"I agree with you, because I am very reasonable. That said, REEEEEEEEEEEEEEEEE FUCK DRUMPFH!!!!! REEEEEEEEEEEE"

That whole thread was unreal.

Can we tell them that Churchill hated Indian people?

He was a wise man.

Historical figures who did something great for their country do not hold up to current social mores. Film at 11.

To be clear, Hitler did nothing wrong.

Trump is bad but he is nowhere near Churchill level of bad. Or even Bush.

Entry 1:
A relaxed K2Ta2PbO7 crystal. Source: the Open Quantum Materials Database, functional PBE.

Calculated values
The theoretical density comes out at 7.29 g cm⁻³. For the calculated volume, the calculation gives 14.41 Å³ per atom. The symmetry is I4/mmm (139). The calculation puts the raw total energy at -0.5688 Ry per atom.

Unit cell a=11.2070 b=11.2070 c=11.2070 alpha=159.47 beta=159.47 gamma=29.19
Atoms (fractional coordinates):
K (0.1940, 0.1940, 0.0000)
K (0.8060, 0.8060, 0.0000)
O (0.3154, 0.3154, 0.0000)
O (0.5000, 0.5000, 0.0000)
O (0.6846, 0.6846, 0.0000)
O (0.5911, 0.0911, 0.5000)
O (0.9089, 0.4089, 0.5000)
O (0.0911, 0.5911, 0.5000)
O (0.4089, 0.9089, 0.5000)
Pb (0.0000, 0.0000, 0.0000)
Ta (0.4012, 0.4012, 0.0000)
Ta (0.5988, 0.5988, 0.0000)

=====

Entry 2:
A relaxed TaTlAgTe2S crystal. Source: the Open Quantum Materials Database, functional PBE.

Calculated values
The theoretical density comes out at 7.53 g cm⁻³. For the calculated volume, the calculation gives 28.69 Å³ per atom. The symmetry is Cmcm (63). The calculation puts the raw total energy at -0.3531 Ry per atom.

Unit cell a=9.0592 b=9.0592 c=9.7511 alpha=90.00 beta=90.00 gamma=154.52
Each line ends with the local moment (μB).
Atoms (fractional coordinates):
Ag (0.9161, 0.0839, 0.2500)  0.01
Ag (0.0839, 0.9161, 0.7500)  0.01
S (0.5097, 0.4903, 0.2500)  -0.01
S (0.4903, 0.5097, 0.7500)  -0.01
Ta (0.5000, 0.5000, 0.0000)  0.07
Ta (0.5000, 0.5000, 0.5000)  0.07
Te (0.1193, 0.8807, 0.0210)  0.00
Te (0.1193, 0.8807, 0.4790)  0.00
Te (0.8807, 0.1193, 0.5210)  0.00
Te (0.8807, 0.1193, 0.9790)  0.00
Tl (0.2775, 0.7225, 0.2500)  0.00
Tl (0.7225, 0.2775, 0.7500)  0.00

=====

Question: The lowest theoretical density belongs to which entry?
Answer: K2Ta2PbO7

=====

# BiSe2N PBE relaxed
data_BiSe2N
_space_group_name_H-M_alt 'I -4 2 d'
_space_group_IT_number 122
_space_group_name_Hall 'I -4 2bw'
_cell_length_a 5.848
_cell_length_b 5.848
_cell_length_c 11.187
_cell_angle_alpha 90.00
_cell_angle_beta 90.00
_cell_angle_gamma 90.00
loop_
_atom_site_label
_atom_site_fract_x
_atom_site_fract_y
_atom_site_fract_z
Bi1 0.000 0.000 0.000
Se1 0.110 0.250 0.625
N1 0.000 0.000 0.500
# **Energy relative to the elements, uncorrected**: 0.762 eV per atom

=====

# ZnAg2P2O7

A relaxed ZnAg2P2O7 crystal (PBE, Alexandria via LeMat-Bulk).

Lattice parameters (Å, degrees): 7.9043 7.9043 10.5995 90.00 90.00 90.00
Closest atoms and distances in Å follow each position.
Atoms (fractional coordinates):
Zn1 0.0000 0.5000 0.2500  4 O 1.97
Zn2 0.0000 0.5000 0.7500  4 O 1.97
Zn3 0.5000 0.0000 0.2500  4 O 1.97
Zn4 0.5000 0.0000 0.7500  4 O 1.97
Ag1 0.1390 0.1390 0.0000  8 O 2.66-2.77
Ag2 0.2005 0.2005 0.5000  2 O 2.40
Ag3 0.2995 0.7005 0.0000  2 O 2.40
Ag4 0.3610 0.6390 0.5000  8 O 2.66-2.77
Ag5 0.6390 0.3610 0.5000  8 O 2.66-2.77
Ag6 0.7005 0.2995 0.0000  2 O 2.40
Ag7 0.7995 0.7995 0.5000  2 O 2.40
Ag8 0.8610 0.8610 0.0000  8 O 2.66-2.77
P1 0.1374 0.8626 0.2886  4 O 1.52-1.64

Praising Hitler to own the fascists.

🤔🤔🤔 le thinking Nazi emoji

I can guarantee you Hitler never used the thinking emoji.

Has anything in that sub ever been funny?

on purpose? no.

The comment sections are unintentionally hilarious so kind of.

Nothing that wasn't immediately reprted by cucks and removed

My inbox is currently a goldmine

Holy Downvoting Dildoshills, Batman!

O           Y
Y           O
B           B
O           Y
Y           O

At least try and meme properly, nerd.

O           O
Y           Y
B           B
O           O
Y           Y

The fuck you talking about. Say that to your computer screen and not on mobile and see what fukken happens m8.

I can out-meme you in ways the little speck of grey matter you call brain is not even capable of computing. Don't fucking test me, kiddo.

I've been jerking it to shitting dick nipples before mods could even cheesegrater images, you silly sausage.

Disclosign the kind of degeneracy you partake in only reaffirms my assumptions. Do us all a favor and cease your oxygen intake permanently.

I only want to suck the oxygen out of your chocolate starfish, big boy.

The only thing getting sucked out of me is my hope for humanity, knowing I share a species with the likes of you. Your existence should be considered a war crime.

Will you hold my hand when Papa Pence shocks the gay out of me?

The only way I'm ever getting near you it's if he sets it up like a voyeur session. Wouldn't miss that for anything.

Would you be pulling on your big daddy dick while watching? Would my cries make you hard?

I'm a bot, bleep, bloop. Someone has linked to this thread from another place on reddit:

 If you follow any of the above links, please respect the rules of reddit and don't vote in the other threads. (Info / Contact)

I have already decided whether or not I like Churchill. I don't. He, like Trump, was a cunt.

>liking churchill in current year

fucking liberals

Say what you will about Hitler, the man got laws passed

• Calculated crystals from another source follow:
+++
Record 1
VASP calculation (PBE) on a geometry-optimized ZrAgMo2 structure.

Calculated values
uncorrected energy: -7.98 eV/atom
formation enthalpy at 0 K: 282 meV/atom
N(E_F): 2.7 states/eV/f.u.
symmetry: C2/m, No. 12
E above lowest polymorph: 152 meV per atom

```
ZrAgMo2
1.0
2.824 -4.829 0.000
2.824 4.829 0.000
-0.890 0.000 2.574
Zr Ag Mo
1 1 2
Direct
0.000 0.000 0.000
0.500 0.500 0.000
0.000 0.500 0.500
0.500 0.000 0.500
```

=====

Record 2
VASP calculation (PBE) on a geometry-optimized ZrAgMo2 structure.

Calculated values
uncorrected energy: -8.10 eV/atom
formation enthalpy at 0 K: 161 meV/atom
N(E_F): 2.9 states/eV/f.u.
symmetry: Cmm2, No. 35
E above lowest polymorph: 30 meV per atom

```
ZrAgMo2
1.0
1.628 -2.332 0.000
1.628 2.332 0.000
0.000 0.000 9.375
Zr Ag Mo
1 1 2
Direct
0.000 0.000 0.000
0.500 0.500 0.271
0.000 0.000 0.526
0.500 0.500 0.745
```

=====

Record 3
VASP calculation (PBE) on a geometry-optimized ZrAg2Mo structure.

Calculated values
uncorrected energy: -6.02 eV/atom
formation enthalpy at 0 K: 247 meV/atom
N(E_F): 4.7 states/eV/f.u.
symmetry: P4/mmm, No. 123
E above lowest polymorph: 72 meV per atom

```
ZrAg2Mo
1.0
4.029 0.000 0.000
0.000 4.029 0.000
0.000 0.000 4.445
Zr Ag Mo
1 2 1
Direct
0.000 0.000 0.000
0.000 0.500 0.500
0.500 0.000 0.500
0.500 0.500 0.000
```
+++

hmm churchill yes a leader with such venerable quotes and actions that truly represent peak social justice such as:

I do not admit for instance, that a great wrong has been done to the Red Indians of America or the black people of Australia. I do not admit that a wrong has been done to these people by the fact that a stronger race, a higher-grade race, a more worldly wise race to put it that way, has come in and taken their place

I am strongly in favour of using poisonous gas against uncivilised tribes

or that one time while india was having a famine he shiped 170'000 tons of food from australia to be put into storage in britan and allowing 3'000'000 people to starved to death, people who churchill said had it coming for "breeding like rabbits"

but ya haha dhubf BTFOED again